Today, our country celebrates Father’s Day. Tomorrow, it celebrates Juneteenth. The Apostle Paul’s words in Galatians 4 bears import for how followers of Jesus might look at both days in terms of spiritual import. We need to live as free people. Break the chains. Paul writes,
“What I am saying is that as long as an heir is underage, he is no different from a slave, although he owns the whole estate. The heir is subject to guardians and trustees until the time set by his father. So also, when we were underage, we were in slavery under the elemental spiritual forces of the world. But when the set time had fully come, God sent his Son, born of a woman, born under the law, to redeem those under the law, that we might receive adoption to sonship. Because you are his sons, God sent the Spirit of his Son into our hearts, the Spirit who calls out, ‘Abba, Father.’ So you are no longer a slave, but God’s child; and since you are his child, God has made you also an heir.” (Galatians 4:1-7; NIV)
How often do we live as slaves, even though we are God’s children? Maybe we act as if God the Father does not really love us, as if we are not really any different than we were before becoming God’s children through faith in Jesus. Perhaps we are not attentive to the Spirit’s call in our hearts that God is our “Abba” or Daddy Father.
Someone pasted molecular data at this point
- - -
No. 1
A structure of composition C31H30N5Ru, computed with ωB97M-V/def2-TZVPD.

Results
**Energy above the lowest of the compared OMol25 structures with the same formula, charge and spin**: 0.677 eV
**Charge**: +3
**Strongest force on any atom**: 0.041 Eh/bohr
**Kohn-Sham gap (alpha / beta)**: 5.65 / 5.66 eV
**LUMO (alpha / beta)**: -11.84 / -11.84 eV

Last column: Löwdin charge in e.
Atoms and positions in Å:
Ru1 0.42178 -0.21398 -0.08702  1.208
C1 2.13646 -2.37345 1.24567  -0.155
C2 1.15747 -2.63446 2.38561  -0.086
C3 -0.27200 -2.75078 1.93765  -0.248
C4 -1.04094 -3.82316 2.38124  0.025
C5 -2.38388 -3.88822 2.06102  0.003
C6 -2.94708 -2.82446 1.37129  -0.014
C7 -2.12105 -1.80166 0.94995  -0.135
N1 -0.80132 -1.78820 1.17073  0.036
N2 2.24808 -0.96847 0.79347  -0.266
C8 2.65256 -0.05237 1.88826  -0.086
C9 1.48765 0.52880 2.65487  -0.259
C10 1.59796 0.91390 3.98737  0.023
C11 0.50074 1.47442 4.62493  0.008
C12 -0.67896 1.64191 3.91052  -0.004
C13 -0.71030 1.23974 2.58611  -0.110
N3 0.34806 0.71226 1.97836  0.005
C14 3.28856 -0.92627 -0.25629  -0.113
C15 3.14239 0.32099 -1.08117  -0.255
C16 4.21970 1.10909 -1.45544  0.031
C17 4.01050 2.17114 -2.32464  0.018
C18 2.73432 2.36180 -2.83173  -0.001
C19 1.70578 1.53974 -2.40485  -0.099
N4 1.88617 0.57128 -1.50292  -0.002
H1 3.12870 -2.72582 1.55664  0.145
H2 1.82701 -2.98060 0.38432  0.136
H3 1.44866 -3.56934 2.86736  0.138
H4 1.22007 -1.85483 3.15051  0.122
H5 -0.58201 -4.59789 2.97347  0.132
H6 -2.98195 -4.73098 2.37068  0.133
H7 -4.00157 -2.79215 1.15598  0.123
H8 -2.55228 -0.94122 0.45607  0.097
H9 3.34459 -0.55883 2.57206  0.154
H10 3.19801 0.78934 1.43938  0.146
H11 2.52443 0.77201 4.52160  0.136
H12 0.55842 1.76800 5.66318  0.135
H13 -1.55568 2.07351 4.36580  0.128
H14 -1.60713 1.34315 1.98715  0.117
H15 4.29443 -1.01149 0.17296  0.153
H16 3.15516 -1.78210 -0.93264  0.149
H17 5.21051 0.88456 -1.09007  0.137
H18 4.82934 2.81033 -2.61966  0.137
H19 2.52460 3.13567 -3.55042  0.127
H20 0.71878 1.65766 -2.82714  0.105
C20 -1.66891 4.68929 -2.17929  0.045
C21 -0.91524 4.29741 -1.07019  -0.006
C22 -0.73408 2.96584 -0.78101  0.012
C23 -1.32210 1.96233 -1.59337  -0.274
C24 -2.03815 2.38099 -2.75062  0.034
C25 -2.21858 3.71818 -3.01406  0.001
N5 -1.09058 0.66075 -1.30092  0.047
C26 -1.84714 -0.36595 -1.78420  -0.307
C27 -1.21872 -1.62077 -2.00971  -0.029
C28 -1.94650 -2.68777 -2.48297  -0.013
C29 -3.31072 -2.54065 -2.75046  0.025
C30 -3.94049 -1.31556 -2.53637  -0.006
C31 -3.23838 -0.24484 -2.02900  0.007
H21 -1.79928 5.73687 -2.40334  0.141
H22 -0.47759 5.05402 -0.43720  0.132
H23 -0.14546 2.65787 0.08277  0.105
H24 -2.39491 1.63375 -3.44563  0.132
H25 -2.77137 4.02586 -3.88980  0.137
H26 -0.12595 -1.70861 -1.87582  0.107
H27 -1.46409 -3.63342 -2.67381  0.132
H28 -3.88619 -3.37584 -3.11892  0.137
H29 -4.98907 -1.20115 -2.76552  0.135
H30 -3.74124 0.68282 -1.79076  0.134

Forces on atoms 1 to 2 (eV/Å):
Ru 0.0596 -0.4798 1.3454
C 0.0822 -0.6426 0.2776

***

No. 2
- - -
The page goes on
How often do we listen to other voices in our heads that we are of no worth or import to God, but merely a bother? If so, why would God send his own Son into the world to die and rise anew to make us God’s children, sons and daughters of the Most High God?
Stories and misconceptions exist and persist in our collective consciousness as Americans that people who were enslaved were merely slaves. They had no other identity. That is hardly true! I will go further and state that we should never confuse the verb “enslave” with the noun “slave”. Just because someone is enslaved does not make them slaves. Their identity as persons, as those created in God’s image, signifies that no matter what others did or do to them, they are not slaves. They are indeed persons of infinite and indescribable worth.
Turning again to Galatians, we were formerly enslaved to demonic spiritual forces and oppressive structures that oppose God and God’s good will for us. As Paul writes, may we not capitulate and live as though we are still under their rule. We need to break the chains.
Here I call to mind the formerly enslaved Temple “Tempie” Cummins’ account of how her mother, a cook for their master, overheard him say in 1865 that he wouldn’t tell his slaves they had been emancipated until they harvested one more crop or two. Rather than stay silent, she came out into the open and cried out, “I’s free, I’s free!” She then went out and told the other enslaved people against their former master’s will that they were free, free indeed. They dropped their tools of enslavement and quit working under the weight of the master’s oppression.
How about us? Do we know we are free? Do we act like it, or do we still live as though we were enslaved? Do we act as if God doesn’t love us, as though Jesus did not die for us, as though the Spirit does not call out from within our hearts that we are God’s precious children? Do we seek to prove to God we are worthy of the Heavenly Father’s affection? If so, we fall prey to further oppression by the demonic principalities and ideologies that in reality are nothing more than “weak and miserable forces” in view of God’s all-powerful, liberating, and secure love! Paul writes,
“Formerly, when you did not know God, you were slaves to those who by nature are not gods. But now that you know God—or rather are known by God—how is it that you are turning back to those weak and miserable forces? Do you wish to be enslaved by them all over again? You are observing special days and months and seasons and years! I fear for you, that somehow I have wasted my efforts on you.” (Galatians 4:8-10; NIV)
What are the ways in which we surrender to those “weak and miserable forces” in the effort to gain God’s favor? We who know God should realize that we are known by God, as Paul writes. God knows us far more than we know God or ourselves, and God accepts us as his children by faith, not by our efforts to prove our worth? His work on our behalf through Jesus and the Spirit proves his love!
God loves us far more than we know and love ourselves. No amount of observing special days or working ourselves to the death every day of the week will gain God’s favor. How can it when God already favors us as his children? May we not operate like the man who sought to gain the favor of a father long dead, whom he could never please and never accepted him! God our heavenly Father truly loves and accepts us.
I close my meditation today by recounting what a CNA (certified nursing angel) told my son Christopher yesterday. She brought a tear to his eye when she told my son lying on his back with a trach for secretions and a feeding tube for nutrition that he is by no means a bother to her or to his family. Amen! No matter how much his traumatic brain injury has devastated him and his family, no matter what, he matters. As his CNA told me later, it is an honor to care for him. She told my son that his daughter adores him, and that his parents and family deeply cherish him. No doubt, this is one reason why he slowly, gradually improves. (If you are interested in knowing more, please check out my post, “My, How You’ve Grown?” which I uploaded yesterday at his page.)
I agreed with this CNA when she recounted yesterday what she shared with Christopher. I told him the same thing at his bed side last night. He is a wonderful dad. He is a wonderful son. I told him he is not a bother. As his CNA told me, so I shared with my son, embracing him as I spoke: “It is an honor to care for you. It is the greatest privilege of my life.”
I didn’t make this up out of thin air. I wasn’t copying the CNA, as much as I admire and respect her. After all, I dearly love my son. He is my very own. I also find this same emphasis in the Bible in how the heavenly Father cares for us. We are his very own. It is the greatest privilege and honor that God favors us in view of his Son Jesus who died and rose to bring us home to God. Similarly, my own Father cared for his children in this way, laying down his life daily for us.
If this is how God loves us, how can we live out our days in self-condemnation? We need to rise up from the bed of our enslavement, the bed of being traumatically injured emotionally by how others condemn us, or how we condemn ourselves, and live as those dearly loved by God, as free people. After all, we are truly and eternally free. Break the chains.
In view of such freedom, may we also see others as God sees them. Rather than condemn them, or treat them as slaves, may we see them as those dearly loved as created in God’s image, as God’s children, as our brothers and sisters, as persons, not things. Together, may we live to please God, not to gain God’s favor, but because we experience the pleasure of God’s favor as God’s children and heirs, co-heirs with Jesus Christ. May we live into the freedom of obedience that Jesus has won for us in the liberating and loving power of the Spirit. We are free, free indeed, on Father’s Day, Juneteenth, and to eternity. Break the chains.